=====
Entry 1:
{"formula": "DyNbO4", "functional": "PBE", "state": "relaxed", "spacegroup": "I4_1", "lattice": [[-1.317, -6.341, -1.668], [-2.210, -3.606, 5.181], [-1.731, 5.918, -2.590]], "species": ["Dy", "Dy", "Nb", "Nb", "O", "O", "O", "O", "O", "O", "O", "O"], "frac_coords": [[0.000, 0.000, 0.000], [0.750, 0.250, 0.500], [0.494, 0.494, 0.000], [0.244, 0.744, 0.500], [0.987, 0.407, 0.077], [0.330, 0.910, 0.923], [0.763, 0.843, 0.423], [0.420, 0.340, 0.577], [0.660, 0.237, 0.080], [0.157, 0.580, 0.920], [0.090, 0.013, 0.420], [0.593, 0.670, 0.580]]}

Entry 2:
{"formula": "NaZrInSiS2O12", "functional": "PBE", "state": "relaxed", "spacegroup": "Cc", "lattice": [[-3.489, -0.845, 8.199], [3.858, -7.083, -3.974], [20.793, 5.842, 9.451]], "species": ["Na", "Na", "Na", "Na", "Na", "Na", "Zr", "Zr", "Zr", "Zr", "Zr", "Zr", "In", "In", "In", "In", "In", "In", "Si", "Si", "Si", "Si", "Si", "Si", "S", "S", "S", "S", "S", "S", "S", "S", "S", "S", "S", "S", "O", "O", "O", "O", "O", "O", "O", "O", "O", "O", "O", "O", "O", "O", "O", "O", "O", "O", "O", "O", "O", "O", "O", "O", "O", "O", "O", "O", "O", "O", "O", "O", "O", "O", "O", "O", "O", "O", "O", "O", "O", "O", "O", "O", "O", "O", "O", "O", "O", "O", "O", "O", "O", "O", "O", "O", "O", "O", "O", "O", "O", "O", "O", "O", "O", "O", "O", "O", "O", "O", "O", "O"], "frac_coords": [[0.021, 0.012, 0.504], [0.991, 0.012, 0.004], [0.686, 0.331, 0.836], [0.645, 0.331, 0.336], [0.341, 0.688, 0.170], [0.347, 0.688, 0.670], [0.020, 0.014, 0.354], [0.994, 0.014, 0.854], [0.657, 0.311, 0.686], [0.653, 0.311, 0.186], [0.333, 0.666, 0.020], [0.333, 0.666, 0.520], [0.997, 0.997, 0.649], [0.000, 0.997, 0.149], [0.683, 0.326, 0.982], [0.643, 0.326, 0.482], [0.337, 0.671, 0.315], [0.334, 0.671, 0.815], [0.288, 0.991, 0.249], [0.702, 0.991, 0.749], [0.362, 0.034, 0.584], [0.671, 0.034, 0.084], [0.043, 0.382, 0.915], [0.339, 0.382, 0.415], [0.708, 0.706, 0.250], [0.001, 0.294, 0.250], [0.293, 0.294, 0.750], [0.998, 0.706, 0.750], [0.956, 0.334, 0.582], [0.669, 0.626, 0.583], [0.957, 0.626, 0.083], [0.378, 0.334, 0.082], [0.627, 0.663, 0.917], [0.333, 0.961, 0.917], [0.629, 0.961, 0.417], [0.036, 0.663, 0.417], [0.197, 0.021, 0.305], [0.813, 0.792, 0.301], [0.971, 0.184, 0.301], [0.213, 0.184, 0.801], [0.979, 0.792, 0.801], [0.824, 0.021, 0.805], [0.788, 0.968, 0.692], [0.193, 0.216, 0.698], [0.027, 0.809, 0.698], [0.782, 0.809, 0.198], [0.023, 0.216, 0.198], [0.179, 0.968, 0.192], [0.874, 0.359, 0.633], [0.488, 0.129, 0.640], [0.646, 0.520, 0.634], [0.874, 0.520, 0.134], [0.641, 0.129, 0.140], [0.485, 0.359, 0.133], [0.461, 0.316, 0.030], [0.854, 0.552, 0.032], [0.700, 0.146, 0.027], [0.446, 0.146, 0.527], [0.698, 0.552, 0.532], [0.855, 0.316, 0.530], [0.546, 0.695, 0.968], [0.162, 0.475, 0.972], [0.313, 0.854, 0.968], [0.541, 0.854, 0.468], [0.313, 0.475, 0.472], [0.149, 0.695, 0.468], [0.113, 0.641, 0.366], [0.524, 0.891, 0.365], [0.358, 0.490, 0.358], [0.132, 0.490, 0.858], [0.367, 0.891, 0.865], [0.528, 0.641, 0.866], [0.015, 0.818, 0.412], [0.797, 0.967, 0.411], [0.161, 0.188, 0.411], [0.028, 0.188, 0.911], [0.170, 0.967, 0.911], [0.803, 0.818, 0.912], [0.976, 0.182, 0.587], [0.172, 0.014, 0.591], [0.817, 0.800, 0.587], [0.984, 0.800, 0.087], [0.841, 0.014, 0.091], [0.206, 0.182, 0.087], [0.691, 0.170, 0.744], [0.469, 0.313, 0.745], [0.838, 0.536, 0.745], [0.698, 0.536, 0.245], [0.844, 0.313, 0.245], [0.479, 0.170, 0.244], [0.642, 0.509, 0.926], [0.851, 0.359, 0.918], [0.479, 0.138, 0.923], [0.659, 0.138, 0.423], [0.508, 0.359, 0.418], [0.867, 0.509, 0.426], [0.362, 0.492, 0.078], [0.130, 0.637, 0.078], [0.494, 0.844, 0.077], [0.350, 0.844, 0.577], [0.507, 0.637, 0.578], [0.130, 0.492, 0.578], [0.316, 0.826, 0.256], [0.532, 0.682, 0.255], [0.153, 0.465, 0.255], [0.312, 0.465, 0.755], [0.150, 0.682, 0.755], [0.510, 0.826, 0.756]]}

Entry 3:
=====
Next, write out the material further above from the first line to the one with "0.255], [0.312," exactly.
Entry 1:
{"formula": "DyNbO4", "functional": "PBE", "state": "relaxed", "spacegroup": "I4_1", "lattice": [[-1.317, -6.341, -1.668], [-2.210, -3.606, 5.181], [-1.731, 5.918, -2.590]], "species": ["Dy", "Dy", "Nb", "Nb", "O", "O", "O", "O", "O", "O", "O", "O"], "frac_coords": [[0.000, 0.000, 0.000], [0.750, 0.250, 0.500], [0.494, 0.494, 0.000], [0.244, 0.744, 0.500], [0.987, 0.407, 0.077], [0.330, 0.910, 0.923], [0.763, 0.843, 0.423], [0.420, 0.340, 0.577], [0.660, 0.237, 0.080], [0.157, 0.580, 0.920], [0.090, 0.013, 0.420], [0.593, 0.670, 0.580]]}

Entry 2:
{"formula": "NaZrInSiS2O12", "functional": "PBE", "state": "relaxed", "spacegroup": "Cc", "lattice": [[-3.489, -0.845, 8.199], [3.858, -7.083, -3.974], [20.793, 5.842, 9.451]], "species": ["Na", "Na", "Na", "Na", "Na", "Na", "Zr", "Zr", "Zr", "Zr", "Zr", "Zr", "In", "In", "In", "In", "In", "In", "Si", "Si", "Si", "Si", "Si", "Si", "S", "S", "S", "S", "S", "S", "S", "S", "S", "S", "S", "S", "O", "O", "O", "O", "O", "O", "O", "O", "O", "O", "O", "O", "O", "O", "O", "O", "O", "O", "O", "O", "O", "O", "O", "O", "O", "O", "O", "O", "O", "O", "O", "O", "O", "O", "O", "O", "O", "O", "O", "O", "O", "O", "O", "O", "O", "O", "O", "O", "O", "O", "O", "O", "O", "O", "O", "O", "O", "O", "O", "O", "O", "O", "O", "O", "O", "O", "O", "O", "O", "O", "O", "O"], "frac_coords": [[0.021, 0.012, 0.504], [0.991, 0.012, 0.004], [0.686, 0.331, 0.836], [0.645, 0.331, 0.336], [0.341, 0.688, 0.170], [0.347, 0.688, 0.670], [0.020, 0.014, 0.354], [0.994, 0.014, 0.854], [0.657, 0.311, 0.686], [0.653, 0.311, 0.186], [0.333, 0.666, 0.020], [0.333, 0.666, 0.520], [0.997, 0.997, 0.649], [0.000, 0.997, 0.149], [0.683, 0.326, 0.982], [0.643, 0.326, 0.482], [0.337, 0.671, 0.315], [0.334, 0.671, 0.815], [0.288, 0.991, 0.249], [0.702, 0.991, 0.749], [0.362, 0.034, 0.584], [0.671, 0.034, 0.084], [0.043, 0.382, 0.915], [0.339, 0.382, 0.415], [0.708, 0.706, 0.250], [0.001, 0.294, 0.250], [0.293, 0.294, 0.750], [0.998, 0.706, 0.750], [0.956, 0.334, 0.582], [0.669, 0.626, 0.583], [0.957, 0.626, 0.083], [0.378, 0.334, 0.082], [0.627, 0.663, 0.917], [0.333, 0.961, 0.917], [0.629, 0.961, 0.417], [0.036, 0.663, 0.417], [0.197, 0.021, 0.305], [0.813, 0.792, 0.301], [0.971, 0.184, 0.301], [0.213, 0.184, 0.801], [0.979, 0.792, 0.801], [0.824, 0.021, 0.805], [0.788, 0.968, 0.692], [0.193, 0.216, 0.698], [0.027, 0.809, 0.698], [0.782, 0.809, 0.198], [0.023, 0.216, 0.198], [0.179, 0.968, 0.192], [0.874, 0.359, 0.633], [0.488, 0.129, 0.640], [0.646, 0.520, 0.634], [0.874, 0.520, 0.134], [0.641, 0.129, 0.140], [0.485, 0.359, 0.133], [0.461, 0.316, 0.030], [0.854, 0.552, 0.032], [0.700, 0.146, 0.027], [0.446, 0.146, 0.527], [0.698, 0.552, 0.532], [0.855, 0.316, 0.530], [0.546, 0.695, 0.968], [0.162, 0.475, 0.972], [0.313, 0.854, 0.968], [0.541, 0.854, 0.468], [0.313, 0.475, 0.472], [0.149, 0.695, 0.468], [0.113, 0.641, 0.366], [0.524, 0.891, 0.365], [0.358, 0.490, 0.358], [0.132, 0.490, 0.858], [0.367, 0.891, 0.865], [0.528, 0.641, 0.866], [0.015, 0.818, 0.412], [0.797, 0.967, 0.411], [0.161, 0.188, 0.411], [0.028, 0.188, 0.911], [0.170, 0.967, 0.911], [0.803, 0.818, 0.912], [0.976, 0.182, 0.587], [0.172, 0.014, 0.591], [0.817, 0.800, 0.587], [0.984, 0.800, 0.087], [0.841, 0.014, 0.091], [0.206, 0.182, 0.087], [0.691, 0.170, 0.744], [0.469, 0.313, 0.745], [0.838, 0.536, 0.745], [0.698, 0.536, 0.245], [0.844, 0.313, 0.245], [0.479, 0.170, 0.244], [0.642, 0.509, 0.926], [0.851, 0.359, 0.918], [0.479, 0.138, 0.923], [0.659, 0.138, 0.423], [0.508, 0.359, 0.418], [0.867, 0.509, 0.426], [0.362, 0.492, 0.078], [0.130, 0.637, 0.078], [0.494, 0.844, 0.077], [0.350, 0.844, 0.577], [0.507, 0.637, 0.578], [0.130, 0.492, 0.578], [0.316, 0.826, 0.256], [0.532, 0.682, 0.255], [0.153, 0.465, 0.255], [0.312, 0.465, 0.755], [0.150, 0.682, 0.755], [0.510, 0.826, 0.756]]}